== Data ==
<<<
Theoretical powder diffraction line list
Compound: Fe4O3F5
Radiation: Cu Kα (λ = 1.5418 Å)
Structure: a PBE+U-relaxed structure

Structural model:
a b c (Å): 4.789 4.789 12.376
angles (deg): 90.00 90.00 85.82
Sites, in units of the cell vectors:
Fe (0.000, 0.000, 0.000)
Fe (0.000, 0.000, 0.500)
Fe (0.026, 0.974, 0.750)
Fe (0.490, 0.510, 0.619)
Fe (0.490, 0.510, 0.881)
Fe (0.510, 0.490, 0.119)
Fe (0.510, 0.490, 0.381)
Fe (0.974, 0.026, 0.250)
O (0.298, 0.702, 0.003)
O (0.298, 0.702, 0.497)
O (0.329, 0.671, 0.750)
O (0.671, 0.329, 0.250)
O (0.702, 0.298, 0.503)
O (0.702, 0.298, 0.997)
F (0.197, 0.204, 0.120)
F (0.197, 0.204, 0.380)
F (0.204, 0.197, 0.620)
F (0.204, 0.197, 0.880)
F (0.288, 0.712, 0.250)
F (0.712, 0.288, 0.750)
F (0.796, 0.803, 0.120)
F (0.796, 0.803, 0.380)
F (0.803, 0.796, 0.620)
F (0.803, 0.796, 0.880)

Principal peaks in the range 10° ≤ 2θ ≤ 80°, most intense first:
d/Å, 2θ/deg, I/Imax
2.597, 34.54, 100
3.507, 25.40, 96
3.260, 27.35, 89
1.793, 50.92, 65
1.416, 66.00, 49
1.724, 53.12, 49
1.754, 52.16, 21
2.320, 38.81, 18
1.547, 59.78, 16
2.244, 40.18, 15

=====

This entry pairs a crystal structure of Cs2NpF5 with its computed X-ray diffraction stick pattern. Radiation: λ = 1.5418 Å (Cu Kα). Structure: a cell relaxed with GGA-PBE.
Lines closer than 0.1° are merged.

Largest 8 diffraction maxima, sorted by position, 2θ = 10–90°:
hkl 1 0 0, 2θ = 12.7°, d = 6.987 Å, I = 832
hkl 1 0 1, 2θ = 23.1°, d = 3.853 Å, I = 301
hkl 2 0 0, 2θ = 25.5°, d = 3.493 Å, I = 456
hkl 1 1 1, 2θ = 26.4°, d = 3.374 Å, I = 1000
hkl 2 1 0, 2θ = 28.6°, d = 3.125 Å, I = 212
hkl 2 2 0, 2θ = 36.4°, d = 2.470 Å, I = 332
hkl 3 1 1, 2θ = 45.5°, d = 1.993 Å, I = 455
hkl 2 2 2, 2θ = 54.4°, d = 1.687 Å, I = 201

Atomic structure:
Unit cell a=6.9866 b=6.9866 c=4.6192 alpha=90.00 beta=90.00 gamma=90.00
Atoms (fractional coordinates):
1 Cs 0.0000 0.5000 0.0000
2 Cs 0.5000 0.0000 0.0000
3 Np 0.0000 0.0000 0.5000
4 F 0.0000 0.0000 0.0000
5 F 0.2283 0.2283 0.5000
6 F 0.2283 0.7717 0.5000
7 F 0.7717 0.2283 0.5000
8 F 0.7717 0.7717 0.5000

=====

Entry 1:
For RbHg4P3, a DFT-relaxed cell (PBE, OQMD) gives the simulated X-ray diffraction stick pattern in this record (Cu Ka).

Cell and atoms:
```
8
Lattice="2.2086 1.2751 12.8654 -2.2086 1.2751 12.8654 0.0000 -2.5503 12.8654" Properties=species:S:1:pos:R:3 pbc="T T T"
Rb 0.0000 0.0000 0.0000
Hg 0.0000 0.0000 7.6238
Hg 0.0000 0.0000 15.6046
Hg 0.0000 0.0000 22.9916
Hg 0.0000 0.0000 30.9725
P 0.0000 0.0000 10.2895
P 0.0000 0.0000 19.2981
P 0.0000 0.0000 28.3068
```

The 10 most intense peaks (2θ = 15–90°), most intense first:
Position (°2θ), I/Imax
26.00, 100.0
32.97, 61.9
40.86, 44.0
54.77, 30.1
49.07, 18.6
34.87, 18.1
53.47, 16.0
65.70, 15.7
69.41, 14.8
53.16, 14.2


Entry 2:
For HgPS4, a DFT-relaxed cell (PBE, OQMD) gives the simulated X-ray diffraction stick pattern in this record (Cu Ka).

Cell and atoms:
```
12
Lattice="6.4156 0.0000 0.0000 0.0000 6.4206 0.0000 0.0000 0.0000 8.6590" Properties=species:S:1:pos:R:3 pbc="T T T"
Hg 0.0000 0.0000 0.0000
Hg 3.2078 0.0000 4.3295
P 0.0000 0.0000 4.3295
P 0.0000 3.2103 0.0000
S 1.1904 2.0059 1.1689
S 1.1904 4.4147 7.4901
S 1.2414 1.1951 5.4563
S 1.2414 5.2255 3.2027
S 5.1742 1.1951 3.2027
S 5.1742 5.2255 5.4563
S 5.2251 2.0059 7.4901
S 5.2251 4.4147 1.1689
```

The 10 most intense peaks (2θ = 15–90°), most intense first:
Position (°2θ), I/Imax
17.20, 100.0
22.11, 57.1
34.80, 45.7
32.87, 40.5
24.80, 38.6
20.51, 35.2
37.60, 30.8
45.93, 29.7
50.88, 27.2
>>>

== Wanted ==
Work out how many lines above have the word "Cs2NpF5" in them; a number is enough.

== Here it is ==
1